Jessica Taylor: Katie Britt should publicly ‘denounce’ Parker Griffith’s PTSD remarks about Mike Durant

Last week, former U.S. Rep. Parker Griffith (D) claimed Senate candidate Mike Durant was making poor campaign decisions because he’s suffering from PTSD.

Many critics have come out blasting those comments, including former Senate candidate Jessica Taylor.

Taylor, who left the Senate race and endorsed Mike Durant, said on Twitter, “Parker Griffith owes every combat veteran an apology and the silence from [Katie Britt] about what her democrat surrogate said is deafening.”

Thursday on WVNN’s “The Yaffee Program,” Taylor doubled down on her criticism of the remarks and called on Senate candidate Katie Britt to publicly denounce Griffith’s PTSD comments about Durant.

“[F]or Katie to not comment on it just adds insult to injury,” she argued. “She should have just easily made a comment disavowing his words because they are that egregious.”

Britt did respond to Griffith’s comments on Wednesday, saying, “[H]e is not affiliated at all with my campaign and one of the things I have been so proud of is my stance for veterans, my stance with standing with veterans since day one.”

Taylor said she was not satisfied with Britt’s response.

Here the article breaks off for data records:
____________
Record 1
Density functional theory data (PBE) for a relaxed structure of AcTb12Er3.

a = 5.0550 Å, b = 5.0550 Å, c = 20.2309 Å
α = 90.00°, β = 90.00°, γ = 90.00°
Last column: nearest neighbours and their distance in Å.
Element x y z (fractional)
Ac: 0.0000 0.0000 0.0000  12 Tb 3.57-3.67
Tb: 0.0000 0.5000 0.1314  2 Er 3.53, 8 Tb 3.55-3.67, 2 Ac 3.67
Tb: 0.0000 0.5000 0.3770  8 Tb 3.53-3.57, 4 Er 3.55-3.56
Tb: 0.0000 0.5000 0.6230  8 Tb 3.53-3.57, 4 Er 3.55-3.56
Tb: 0.0000 0.5000 0.8686  2 Er 3.53, 8 Tb 3.55-3.67, 2 Ac 3.67
Tb: 0.5000 0.0000 0.1314  2 Er 3.53, 8 Tb 3.55-3.67, 2 Ac 3.67
Tb: 0.5000 0.0000 0.3770  8 Tb 3.53-3.57, 4 Er 3.55-3.56
Tb: 0.5000 0.0000 0.6230  8 Tb 3.53-3.57, 4 Er 3.55-3.56
Tb: 0.5000 0.0000 0.8686  2 Er 3.53, 8 Tb 3.55-3.67, 2 Ac 3.67
Tb: 0.5000 0.5000 0.0000  4 Ac 3.57, 8 Tb 3.67
Tb: 0.5000 0.5000 0.2550  8 Tb 3.53-3.55, 4 Er 3.57
Tb: 0.5000 0.5000 0.5000  8 Tb 3.55, 4 Er 3.57
Tb: 0.5000 0.5000 0.7450  8 Tb 3.53-3.55, 4 Er 3.57
Er: 0.0000 0.0000 0.2534  12 Tb 3.53-3.57
Er: 0.0000 0.0000 0.5000  12 Tb 3.55-3.57
Er: 0.0000 0.0000 0.7466  12 Tb 3.53-3.57

Total energy (eV for the cell shown): -72.88
SG: P4/mmm



Record 2
Density functional theory data (PBE) for a relaxed structure of AcTb12Er5.

a = 10.6916 Å, b = 10.6916 Å, c = 6.1706 Å
α = 106.58°, β = 106.58°, γ = 60.12°
Last column: nearest neighbours and their distance in Å.
Element x y z (fractional)
Ac: 0.0000 0.0000 0.0000  10 Tb 3.59-3.62, 2 Er 3.62
Tb: 0.0005 0.3377 0.0024  7 Tb 3.47-3.61, 4 Er 3.54-3.60, 1 Ac 3.61
Tb: 0.9995 0.6623 0.9976  7 Tb 3.47-3.61, 4 Er 3.54-3.60, 1 Ac 3.61
Tb: 0.1673 0.4992 0.5012  5 Er 3.53-3.58, 7 Tb 3.54-3.57
Tb: 0.1715 0.8285 0.5000  3 Er 3.52-3.61, 7 Tb 3.55-3.67, 2 Ac 3.59
Tb: 0.3377 0.0005 0.0024  7 Tb 3.47-3.61, 4 Er 3.54-3.60, 1 Ac 3.61
Tb: 0.3376 0.6624 0.0000  7 Tb 3.48-3.61, 4 Er 3.54-3.55, 1 Ac 3.62
Tb: 0.4992 0.1673 0.5012  5 Er 3.53-3.58, 7 Tb 3.54-3.57
Tb: 0.5008 0.8327 0.4988  5 Er 3.53-3.58, 7 Tb 3.54-3.57
Tb: 0.6623 0.9995 0.9976  7 Tb 3.47-3.61, 4 Er 3.54-3.60, 1 Ac 3.61
Tb: 0.6624 0.3376 0.0000  7 Tb 3.48-3.61, 4 Er 3.54-3.55, 1 Ac 3.62
Tb: 0.8285 0.1715 0.5000  3 Er 3.52-3.61, 7 Tb 3.55-3.67, 2 Ac 3.59
Tb: 0.8327 0.5008 0.4988  5 Er 3.53-3.58, 7 Tb 3.54-3.57
Er: 0.1690 0.1690 0.5077  1 Er 3.52, 10 Tb 3.53-3.61, 1 Ac 3.62
Er: 0.3331 0.3331 0.0006  2 Er 3.52-3.57, 10 Tb 3.54-3.56
Er: 0.5000 0.5000 0.5000  10 Tb 3.52-3.56, 2 Er 3.57
Er: 0.6669 0.6669 0.9994  2 Er 3.52-3.57, 10 Tb 3.54-3.56
Er: 0.8310 0.8310 0.4923  1 Er 3.52, 10 Tb 3.53-3.61, 1 Ac 3.62

Total energy (eV for the cell shown): -81.98
SG: C2/m



Record 3
Density functional theory data (PBE) for a relaxed structure of AcTb8Er3.

a = 8.5162 Å, b = 8.5162 Å, c = 8.5162 Å
α = 100.03°, β = 95.76°, γ = 136.51°
Last column: nearest neighbours and their distance in Å.
Element x y z (fractional)
Ac: 0.0000 0.0000 0.0000  2 Er 3.59, 10 Tb 3.60-3.69
Tb: 0.0008 0.3379 0.3371  4 Er 3.49-3.64, 7 Tb 3.50-3.66, 1 Ac 3.69
____________

“Absolutely not,” she said. “If he’s not affiliated with her campaign, why can’t she disavow those comments? I mean, we’ve got sitting U.S. Senators who have commented on this and this is truly an attack on combat veterans and the mental health community. If she cares about those issues, denounce those comments.”

The former Senate candidate said that Griffith had been out speaking publicly about his support for Britt.

“To say he’s not affiliated with her campaign,” she continued, “he’s donated to her campaign, they certainly accepted a donation from a Democrat. He goes on radio shows defending her. He publicly endorsed her, has her sign in his yard, so it really shouldn’t be an issue for her to distant herself from these comments and the fact that she won’t is just very telling to me.”

Taylor also reacted to Britt recently saying Durant’s take on the Second Amendment was “disgusting and dangerous.”

“This is just a desperate attempt for them to try to reverse Mike’s upward momentum in these polls,” she protested. “Those comments were taken out of context. When Mike said the comments in question he was speaking to the Army War College, specifically discussing military tactics and how you would disarm a community, so they’re trying to paint it as if he’s anti-[Second Amendment] and nothing could be further from the truth.”

She reiterated why she decided to endorse Durant in this Senate race.

“I’ve enjoyed getting to know him,” she explained, “and it was an easy decision for me to drop out and support him once I got to know him and saw not just what he said he’ll do but what he has done, and he’s not a career politician. He’s an outsider, he’s got new ideas, and he’s got the backbone to get it done.”

Yaffee is a contributing writer to Yellowhammer News and hosts “The Yaffee Program” Weekdays 9-11am on WVNN. You can follow him on Twitter @Yaffee